Activity:
Please write out only the lines further down with the word "hartree" in them.
File:
<<<
Record 1
Computed, not measured: a relaxed structure of CaTc2Sn2 at the PBE level of DFT.

The space group is I4/mmm (No. 139) and the conventional cell measures 4.801, 4.801 and 9.865 Å, with angles of 90.00, 90.00 and 90.00 degrees. The inequivalent atoms are Ca at (0.000, 0.000, 0.000), Tc at (0.000, 0.000, 0.388) and Sn at (0.000, 0.500, 0.250).

The calculation puts the energy of formation at -0.007 eV per atom. Its magnetization is 0.00 μB/f.u. As for the uncorrected energy: -0.2262 hartree per atom. The energy above the most stable polymorph in this dataset is 0 meV per atom.

Record 2
Computed, not measured: a relaxed structure of NiBr at the PBE level of DFT.

The space group is P2_12_12_1 (No. 19) and the conventional cell measures 6.927, 7.138 and 7.187 Å, with angles of 90.00, 90.00 and 90.00 degrees. The inequivalent atoms are Ni at (0.088, 0.200, 0.417), Ni at (0.136, 0.594, 0.832), Br at (0.081, 0.921, 0.886) and Br at (0.092, 0.410, 0.119).

The formation energy without anion corrections comes out at 0.05 eV per atom. Its magnetization is 0.98 μB/f.u. As for the uncorrected energy: -0.1350 hartree per atom.

Record 3
Computed, not measured: a relaxed structure of HgP2SCl at the PBE level of DFT.

The space group is P4/mmm (No. 123) and the conventional cell measures 4.669, 4.669 and 4.984 Å, with angles of 90.00, 90.00 and 90.00 degrees. The inequivalent atoms are Hg at (0.000, 0.000, 0.000), P at (0.000, 0.500, 0.500), S at (0.500, 0.500, 0.000) and Cl at (0.500, 0.500, 0.500).

The formation energy without anion corrections comes out at 1.28 eV per atom. Its magnetization is 0.56 μB/f.u. As for the uncorrected energy: -0.0786 hartree per atom. The energy above the most stable polymorph in this dataset is 497 meV per atom.

Theoretical density, record by record: 6.92 5.18 5.04 g cm⁻³

=====

A geometry-optimized TbGeTe2AuS structure. Source: OQMD via LeMat-Bulk, functional PBE.

Output
The final energy comes out at -4.41 eV per atom. The space group is Cmcm. Its calculated volume is 25.70 Å³/atom.

Structure (POSCAR):
```
TbGeTe2AuS
1.0
-3.1085 6.9707 -0.7148
1.9998 -5.8291 4.5593
9.0351 4.1693 1.3675
Au Ge S Tb Te
2 2 2 2 4
direct
0.4830 0.5170 0.2500
0.5170 0.4830 0.7500
0.7644 0.2356 0.2500
0.2356 0.7644 0.7500
0.0804 0.9196 0.2500
0.9196 0.0804 0.7500
0.0000 0.0000 0.0000
0.0000 0.0000 0.5000
0.3426 0.6574 0.0587
0.3426 0.6574 0.4413
0.6574 0.3426 0.5587
0.6574 0.3426 0.9413
```
>>>
Result:
The calculation puts the energy of formation at -0.007 eV per atom. Its magnetization is 0.00 μB/f.u. As for the uncorrected energy: -0.2262 hartree per atom. The energy above the most stable polymorph in this dataset is 0 meV per atom.
The formation energy without anion corrections comes out at 0.05 eV per atom. Its magnetization is 0.98 μB/f.u. As for the uncorrected energy: -0.1350 hartree per atom.
The formation energy without anion corrections comes out at 1.28 eV per atom. Its magnetization is 0.56 μB/f.u. As for the uncorrected energy: -0.0786 hartree per atom. The energy above the most stable polymorph in this dataset is 497 meV per atom.